Now return everything further below word for word.

********
An optimized crystal structure of LaGeIr. Source: the Materials Project, functional r²SCAN.

Total energy, eV/cell: -197.75
Energy of formation from the pure elements, eV per atom: -0.966

Lattice parameters (Å, degrees): 7.761 7.761 7.761 147.26 147.26 46.98
Fractional positions:
La (0.000, 0.000, 0.000)
La (0.750, 0.250, 0.500)
Ge (0.171, 0.671, 0.500)
Ge (0.421, 0.421, 0.000)
Ir (0.344, 0.844, 0.500)
Ir (0.594, 0.594, 0.000)

An optimized crystal structure of AgAuF4. Source: the Materials Project, functional r²SCAN.

Total energy, eV/cell: -183.94
Energy of formation from the pure elements, eV per atom: -1.255

Lattice parameters (Å, degrees): 6.715 6.715 6.715 129.63 129.63 74.00
Fractional positions:
Ag (0.250, 0.250, 0.000)
Ag (0.750, 0.750, 0.000)
Au (0.000, 0.500, 0.500)
Au (0.500, 0.000, 0.500)
F (0.043, 0.543, 0.844)
F (0.199, 0.043, 0.500)
F (0.301, 0.801, 0.844)
F (0.457, 0.301, 0.500)
F (0.543, 0.699, 0.500)
F (0.699, 0.199, 0.156)
F (0.801, 0.957, 0.500)
F (0.957, 0.457, 0.156)

An optimized crystal structure of SrAcAu2. Source: the Materials Project, functional r²SCAN.

Total energy, eV/cell: -188.20
Energy of formation from the pure elements, eV per atom: -0.811

Lattice parameters (Å, degrees): 5.449 5.449 5.449 60.00 60.00 60.00
Fractional positions:
Sr (0.000, 0.000, 0.000)
Ac (0.500, 0.500, 0.500)
Au (0.250, 0.250, 0.250)
Au (0.750, 0.750, 0.750)

An optimized crystal structure of Rb2Ge4O9. Source: the Materials Project, functional r²SCAN.

Total energy, eV/cell: -995.77
Energy of formation from the pure elements, eV per atom: -1.924

Lattice parameters (Å, degrees): 12.139 12.139 9.893 90.00 90.00 120.00
Fractional positions:
Rb (0.002, 0.337, 0.431)
Rb (0.002, 0.664, 0.931)
Rb (0.336, 0.337, 0.931)
Rb (0.336, 0.998, 0.431)
Rb (0.337, 0.002, 0.069)
Rb (0.337, 0.336, 0.569)
Rb (0.663, 0.664, 0.431)
Rb (0.663, 0.998, 0.931)
Rb (0.664, 0.002, 0.569)
Rb (0.664, 0.663, 0.069)
Rb (0.998, 0.336, 0.069)
Rb (0.998, 0.663, 0.569)
Ge (0.000, 0.000, 0.000)
Ge (0.000, 0.000, 0.500)
Ge (0.000, 0.177, 0.750)
Ge (0.000, 0.823, 0.250)
Ge (0.151, 0.484, 0.721)
Ge (0.151, 0.667, 0.221)
Ge (0.177, 0.000, 0.750)
Ge (0.177, 0.177, 0.250)
Ge (0.333, 0.484, 0.221)
Ge (0.333, 0.667, 0.470)
Ge (0.333, 0.667, 0.970)
Ge (0.333, 0.849, 0.721)
Ge (0.484, 0.151, 0.779)
Ge (0.484, 0.333, 0.279)
Ge (0.516, 0.667, 0.721)
Ge (0.516, 0.849, 0.221)
Ge (0.667, 0.151, 0.279)
Ge (0.667, 0.333, 0.030)
Ge (0.667, 0.333, 0.530)
Ge (0.667, 0.516, 0.779)
Ge (0.823, 0.000, 0.250)
Ge (0.823, 0.823, 0.750)
Ge (0.849, 0.333, 0.779)
Ge (0.849, 0.516, 0.279)
O (0.000, 0.470, 0.750)
O (0.000, 0.530, 0.250)
O (0.072, 0.148, 0.887)
O (0.072, 0.924, 0.387)
O (0.076, 0.148, 0.387)
O (0.076, 0.928, 0.887)
O (0.118, 0.327, 0.680)
O (0.118, 0.791, 0.180)
O (0.148, 0.072, 0.613)
O (0.148, 0.076, 0.113)
O (0.187, 0.578, 0.578)
O (0.187, 0.609, 0.078)
O (0.209, 0.327, 0.180)
O (0.209, 0.882, 0.680)
O (0.247, 0.518, 0.862)
O (0.247, 0.729, 0.362)
O (0.271, 0.518, 0.362)
O (0.271, 0.753, 0.862)
O (0.327, 0.118, 0.820)
O (0.327, 0.209, 0.320)
O (0.391, 0.578, 0.078)
O (0.391, 0.813, 0.578)
O (0.422, 0.609, 0.578)
O (0.422, 0.813, 0.078)
O (0.470, 0.000, 0.750)
O (0.470, 0.470, 0.250)
O (0.482, 0.729, 0.862)
O (0.482, 0.753, 0.362)
O (0.518, 0.247, 0.638)
O (0.518, 0.271, 0.138)
O (0.530, 0.000, 0.250)
O (0.530, 0.530, 0.750)
O (0.578, 0.187, 0.922)
O (0.578, 0.391, 0.422)
O (0.609, 0.187, 0.422)
O (0.609, 0.422, 0.922)
O (0.673, 0.791, 0.680)
O (0.673, 0.882, 0.180)
O (0.729, 0.247, 0.138)
O (0.729, 0.482, 0.638)
O (0.753, 0.271, 0.638)
O (0.753, 0.482, 0.138)
O (0.791, 0.118, 0.320)
O (0.791, 0.673, 0.820)
O (0.813, 0.391, 0.922)
O (0.813, 0.422, 0.422)
O (0.852, 0.924, 0.887)
O (0.852, 0.928, 0.387)
O (0.882, 0.209, 0.820)
O (0.882, 0.673, 0.320)
O (0.924, 0.072, 0.113)
O (0.924, 0.852, 0.613)
O (0.928, 0.076, 0.613)
O (0.928, 0.852, 0.113)

An optimized crystal structure of SrGa2Te4. Source: the Materials Project, functional r²SCAN.

Total energy, eV/cell: -291.78
********

An optimized crystal structure of LaGeIr. Source: the Materials Project, functional r²SCAN.

Total energy, eV/cell: -197.75
Energy of formation from the pure elements, eV per atom: -0.966

Lattice parameters (Å, degrees): 7.761 7.761 7.761 147.26 147.26 46.98
Fractional positions:
La (0.000, 0.000, 0.000)
La (0.750, 0.250, 0.500)
Ge (0.171, 0.671, 0.500)
Ge (0.421, 0.421, 0.000)
Ir (0.344, 0.844, 0.500)
Ir (0.594, 0.594, 0.000)

An optimized crystal structure of AgAuF4. Source: the Materials Project, functional r²SCAN.

Total energy, eV/cell: -183.94
Energy of formation from the pure elements, eV per atom: -1.255

Lattice parameters (Å, degrees): 6.715 6.715 6.715 129.63 129.63 74.00
Fractional positions:
Ag (0.250, 0.250, 0.000)
Ag (0.750, 0.750, 0.000)
Au (0.000, 0.500, 0.500)
Au (0.500, 0.000, 0.500)
F (0.043, 0.543, 0.844)
F (0.199, 0.043, 0.500)
F (0.301, 0.801, 0.844)
F (0.457, 0.301, 0.500)
F (0.543, 0.699, 0.500)
F (0.699, 0.199, 0.156)
F (0.801, 0.957, 0.500)
F (0.957, 0.457, 0.156)

An optimized crystal structure of SrAcAu2. Source: the Materials Project, functional r²SCAN.

Total energy, eV/cell: -188.20
Energy of formation from the pure elements, eV per atom: -0.811

Lattice parameters (Å, degrees): 5.449 5.449 5.449 60.00 60.00 60.00
Fractional positions:
Sr (0.000, 0.000, 0.000)
Ac (0.500, 0.500, 0.500)
Au (0.250, 0.250, 0.250)
Au (0.750, 0.750, 0.750)

An optimized crystal structure of Rb2Ge4O9. Source: the Materials Project, functional r²SCAN.

Total energy, eV/cell: -995.77
Energy of formation from the pure elements, eV per atom: -1.924

Lattice parameters (Å, degrees): 12.139 12.139 9.893 90.00 90.00 120.00
Fractional positions:
Rb (0.002, 0.337, 0.431)
Rb (0.002, 0.664, 0.931)
Rb (0.336, 0.337, 0.931)
Rb (0.336, 0.998, 0.431)
Rb (0.337, 0.002, 0.069)
Rb (0.337, 0.336, 0.569)
Rb (0.663, 0.664, 0.431)
Rb (0.663, 0.998, 0.931)
Rb (0.664, 0.002, 0.569)
Rb (0.664, 0.663, 0.069)
Rb (0.998, 0.336, 0.069)
Rb (0.998, 0.663, 0.569)
Ge (0.000, 0.000, 0.000)
Ge (0.000, 0.000, 0.500)
Ge (0.000, 0.177, 0.750)
Ge (0.000, 0.823, 0.250)
Ge (0.151, 0.484, 0.721)
Ge (0.151, 0.667, 0.221)
Ge (0.177, 0.000, 0.750)
Ge (0.177, 0.177, 0.250)
Ge (0.333, 0.484, 0.221)
Ge (0.333, 0.667, 0.470)
Ge (0.333, 0.667, 0.970)
Ge (0.333, 0.849, 0.721)
Ge (0.484, 0.151, 0.779)
Ge (0.484, 0.333, 0.279)
Ge (0.516, 0.667, 0.721)
Ge (0.516, 0.849, 0.221)
Ge (0.667, 0.151, 0.279)
Ge (0.667, 0.333, 0.030)
Ge (0.667, 0.333, 0.530)
Ge (0.667, 0.516, 0.779)
Ge (0.823, 0.000, 0.250)
Ge (0.823, 0.823, 0.750)
Ge (0.849, 0.333, 0.779)
Ge (0.849, 0.516, 0.279)
O (0.000, 0.470, 0.750)
O (0.000, 0.530, 0.250)
O (0.072, 0.148, 0.887)
O (0.072, 0.924, 0.387)
O (0.076, 0.148, 0.387)
O (0.076, 0.928, 0.887)
O (0.118, 0.327, 0.680)
O (0.118, 0.791, 0.180)
O (0.148, 0.072, 0.613)
O (0.148, 0.076, 0.113)
O (0.187, 0.578, 0.578)
O (0.187, 0.609, 0.078)
O (0.209, 0.327, 0.180)
O (0.209, 0.882, 0.680)
O (0.247, 0.518, 0.862)
O (0.247, 0.729, 0.362)
O (0.271, 0.518, 0.362)
O (0.271, 0.753, 0.862)
O (0.327, 0.118, 0.820)
O (0.327, 0.209, 0.320)
O (0.391, 0.578, 0.078)
O (0.391, 0.813, 0.578)
O (0.422, 0.609, 0.578)
O (0.422, 0.813, 0.078)
O (0.470, 0.000, 0.750)
O (0.470, 0.470, 0.250)
O (0.482, 0.729, 0.862)
O (0.482, 0.753, 0.362)
O (0.518, 0.247, 0.638)
O (0.518, 0.271, 0.138)
O (0.530, 0.000, 0.250)
O (0.530, 0.530, 0.750)
O (0.578, 0.187, 0.922)
O (0.578, 0.391, 0.422)
O (0.609, 0.187, 0.422)
O (0.609, 0.422, 0.922)
O (0.673, 0.791, 0.680)
O (0.673, 0.882, 0.180)
O (0.729, 0.247, 0.138)
O (0.729, 0.482, 0.638)
O (0.753, 0.271, 0.638)
O (0.753, 0.482, 0.138)
O (0.791, 0.118, 0.320)
O (0.791, 0.673, 0.820)
O (0.813, 0.391, 0.922)
O (0.813, 0.422, 0.422)
O (0.852, 0.924, 0.887)
O (0.852, 0.928, 0.387)
O (0.882, 0.209, 0.820)
O (0.882, 0.673, 0.320)
O (0.924, 0.072, 0.113)
O (0.924, 0.852, 0.613)
O (0.928, 0.076, 0.613)
O (0.928, 0.852, 0.113)

An optimized crystal structure of SrGa2Te4. Source: the Materials Project, functional r²SCAN.

Total energy, eV/cell: -291.78